We all know that New York has set its sights on a clean, renewable, carbon-zero future for both the city and the state. Solar, wind, and other renewables will undoubtedly play a huge part in achieving the ambitious targets outlined in the Climate Leadership and Community Protection Act (CLCPA). Incentivizing developers to build and support a renewable New York will be vital, and a new order from the New York State Public Service Commission (PSC) has done just that—encouraging developers even further.
[Unrelated to this text: crystal structures]
This entry pairs a crystal structure of Li2TiFe3O8 with its calculated XRD peak list. Radiation: Cu Kα X-rays. Structure: a PBE+U-relaxed structure.
Kinematic intensities with the Lorentz-polarization factor, no thermal factor.

Main lines, by angle (5 to 70 degrees two-theta):
2theta  I/Imax
18.51  78.7
19.60  100.0
25.41  29.2
33.01  38.8
35.58  48.9
36.19  64.0
39.80  46.9
45.28  70.7
60.22  49.8
62.61  44.5

Crystal structure
a = 5.935 Å, b = 5.935 Å, c = 9.586 Å
α = 90.00°, β = 90.00°, γ = 120.00°
Fractional positions:
Li: 0.000 0.000 0.000
Li: 0.000 0.000 0.500
Li: 0.333 0.667 0.401
Li: 0.667 0.333 0.901
Ti: 0.333 0.667 0.000
Ti: 0.667 0.333 0.500
Fe: 0.171 0.342 0.721
Fe: 0.171 0.829 0.721
Fe: 0.342 0.171 0.221
Fe: 0.658 0.829 0.721
Fe: 0.829 0.171 0.221
Fe: 0.829 0.658 0.221
O: 0.000 0.000 0.312
O: 0.000 0.000 0.812
O: 0.039 0.519 0.848
O: 0.168 0.337 0.100
O: 0.168 0.832 0.100
O: 0.333 0.667 0.610
O: 0.337 0.168 0.600
[Back to the text]
The PSC has given authorization to New York State Energy Research and Development Authority (NYSERDA) to rejig its pricing structure for Tier 1 solicitations. This will allow NYSERDA to innovative and incentivize by creating a new pricing structure for ongoing Tier 1 solicitations. The core intention of this new pricing structure is to reduce capital costs for New York developers, thus encouraging them to further develop clean energy sources throughout the state. It is hoped that the new pricing structure will also alleviate the risk for developers, and ultimately result in lower costs for New York energy consumers.
• Misplaced calculated crystals:
+++
Entry 1:
Structure and calculated PXRD pattern of CaAg3Sn3 (the GGA-PBE geometry in Alexandria; copper Kα).

Most intense lines, 10 to 90 degrees two-theta, by angle:
| (hkl) | 2θ (°) | Rel. int. |
| --- | --- | --- |
| 0 1 2 | 16.81 | 14 |
| 3 -2 2 | 32.93 | 100 |
| 0 0 6 | 37.60 | 30 |
| 2 1 4 | 39.62 | 78 |
| 4 -3 1 | 42.38 | 16 |
| 3 -2 8 | 60.45 | 14 |

Atomic structure:
a b c (Å): 8.9795 8.9795 14.3523
angles (deg): 90.00 90.00 120.00
Space group R-3 (No. 148, hexagonal axes)
Asymmetric unit:
Ca 0.0000 0.0000 0.2383 [6 per cell]
Ag 0.0554 0.2244 0.4168 [18 per cell]
Sn 0.0087 0.7565 0.0722 [18 per cell]

=====

Entry 2:
Structure and calculated PXRD pattern of Er2Be4Ir5 (the GGA-PBE geometry in Alexandria; copper Kα).

Most intense lines, 10 to 90 degrees two-theta, by angle:
| (hkl) | 2θ (°) | Rel. int. |
| --- | --- | --- |
| 1 1 3 | 28.37 | 51 |
| 0 2 4 | 34.71 | 57 |
| 2 2 0 | 37.12 | 100 |
| 0 4 0 | 38.53 | 45 |
| 2 0 4 | 43.25 | 34 |
| 2 2 8 | 72.34 | 27 |

Atomic structure:
a b c (Å): 5.665 9.345 12.409
angles (deg): 90.00 90.00 90.00
Space group Fmmm (No. 69)
Asymmetric unit:
Er 0.000 0.000 0.135 [8 per cell]
Be 0.000 0.158 0.367 [16 per cell]
Ir 0.000 0.000 0.500 [4 per cell]
Ir 0.250 0.250 0.000 [8 per cell]
Ir 0.250 0.250 0.250 [8 per cell]

=====

Entry 3:
Structure and calculated PXRD pattern of Gd2LuSc (the GGA-PBE geometry in Alexandria; copper Kα).

Most intense lines, 10 to 90 degrees two-theta, by angle:
| (hkl) | 2θ (°) | Rel. int. |
| --- | --- | --- |
| 1 1 1 | 31.65 | 100 |
| 2 0 0 | 36.35 | 34 |
| 0 0 2 | 37.41 | 16 |
| 2 0 2 | 53.15 | 23 |
| 3 1 1 | 62.48 | 28 |
| 1 1 3 | 63.90 | 13 |

Atomic structure:
a b c (Å): 4.943 4.943 4.808
angles (deg): 90.00 90.00 90.00
Space group P4/mmm (No. 123)
Asymmetric unit:
Gd 0.000 0.500 0.000 [2 per cell]
Lu 0.000 0.000 0.500 [1 per cell]
Sc 0.500 0.500 0.500 [1 per cell]


Theoretical XRD peak list of Rb2Pb2Se3 for Cu Kα, from a crystal structure in Alexandria, relaxed with GGA-PBE.
Intensities are scaled so that the largest is 100.

Principal peaks in the range 10 to 90 degrees two-theta, by angle:
12.0 deg, rel. 42
18.7 deg, rel. 66
19.6 deg, rel. 29
21.2 deg, rel. 27
22.3 deg, rel. 84
29.8 deg, rel. 38
30.7 deg, rel. 77
31.2 deg, rel. 40
32.2 deg, rel. 52
33.8 deg, rel. 100

abc: 12.020 12.020 9.067
angles: 112.10 112.10 87.75
Sites, in units of the cell vectors:
Rb 0.068 0.932 0.750
Rb 0.222 0.778 0.250
Rb 0.306 0.471 0.920
Rb 0.471 0.306 0.420
Rb 0.529 0.694 0.580
Rb 0.694 0.529 0.080
Rb 0.778 0.222 0.750
Rb 0.932 0.068 0.250
Pb 0.072 0.588 0.410
Pb 0.114 0.274 0.093
Pb 0.274 0.114 0.593
Pb 0.412 0.928 0.090
Pb 0.588 0.072 0.910
Pb 0.726 0.886 0.407
Pb 0.886 0.726 0.907
Pb 0.928 0.412 0.590
Se 0.080 0.230 0.716
Se 0.083 0.637 0.769
Se 0.230 0.080 0.216
Se 0.269 0.490 0.287
Se 0.363 0.917 0.731
Se 0.490 0.269 0.787
Se 0.510 0.731 0.213
Se 0.637 0.083 0.269
Se 0.731 0.510 0.713
Se 0.770 0.920 0.784
Se 0.917 0.363 0.231
Se 0.920 0.770 0.284
+++
• So much for the calculated crystals:
With this PSC order, NYSERDA has been directed to provide developers with support and additional financial options when seeking bids for renewable energy projects. Up to now, NYSERDA offered developers a traditional fixed-price, but with this order a greater range of compensation offerings will become available. NYSERDA will be able to offer developers compensation for environmental attributes associated with the generation output of their solar or wind project. This additional form of compensation will be based on a reference market index which changes on a monthly basis across the lifespan of the project contract.
This opens up a whole host of new opportunities for renewable energy developers. NYSERDA providing an indexed renewable energy credit (REC), as well as continuing to allow for more conventional fixed-price bids, means more flexibility for prospective solar or wind developers in New York. Now, with this new pricing structure for Tier 1 solicitations, developers will be able to adapt their bids to better reflect their own financial and operational requirements, as well as keeping their bids more in line with the markets.
**These data records were left in the article by mistake:**
=====
For PmTmCoBr, the PBE geometry in Alexandria gives the computed powder diffractogram in this record (Cu Ka).
Neutral-atom scattering factors, no anomalous dispersion.

Top 12 peaks for 10 to 80 degrees two-theta, in order of rising 2θ:
- 11.49°, I 22.2
- 26.86°, I 23.3
- 27.70°, I 15.2
- 30.83°, I 40.2
- 33.00°, I 100.0
- 34.94°, I 14.3
- 38.25°, I 9.9
- 46.93°, I 42.2
- 47.79°, I 24.4
- 58.56°, I 19.0
- 59.82°, I 18.5
- 78.20°, I 16.3

Structure:
```
PmTmCoBr
1.0
1.936 1.118 7.705
-1.936 1.118 7.705
0.000 -2.236 7.705
Pm Tm Co Br
1 1 1 1
Direct
0.000 0.000 0.000 Pm
0.793 0.793 0.793 Tm
0.398 0.398 0.398 Co
0.225 0.225 0.225 Br
```

***

For AgSn3Bi3Se8, the PBE geometry in Alexandria gives the computed powder diffractogram in this record (Cu Ka).
Neutral-atom scattering factors, no anomalous dispersion.

Top 12 peaks for 10 to 80 degrees two-theta, in order of rising 2θ:
- 12.89°, I 12.6
- 14.87°, I 7.7
- 21.08°, I 7.0
- 24.75°, I 6.9
- 25.89°, I 13.0
- 29.99°, I 100.0
- 42.92°, I 75.3
- 53.21°, I 20.1
- 62.32°, I 12.5
- 70.63°, I 17.3
- 70.76°, I 17.2
- 78.60°, I 19.5

Structure:
```
AgSn3Bi3Se8
1.0
4.218 2.435 6.868
-4.218 2.435 6.868
0.000 -4.871 6.868
Ag Sn Bi Se
1 3 3 8
Direct
0.000 0.000 0.000 Ag
0.000 0.000 0.500 Sn
0.000 0.500 0.000 Sn
0.500 0.000 0.000 Sn
0.000 0.500 0.500 Bi
0.500 0.000 0.500 Bi
0.500 0.500 0.000 Bi
0.242 0.242 0.758 Se
0.242 0.758 0.242 Se
0.242 0.758 0.758 Se
0.250 0.250 0.250 Se
0.750 0.750 0.750 Se
0.758 0.242 0.242 Se
0.758 0.242 0.758 Se
0.758 0.758 0.242 Se
```

***

For K2Tl3Hg6, the PBE geometry in Alexandria gives the computed powder diffractogram in this record (Cu Ka).
Neutral-atom scattering factors, no anomalous dispersion.

Top 12 peaks for 10 to 80 degrees two-theta, in order of rising 2θ:
- 13.06°, I 33.5
- 14.61°, I 23.4
- 19.07°, I 42.9
- 27.51°, I 64.1
- 28.50°, I 32.3
- 29.66°, I 36.3
- 35.50°, I 100.0
- 35.97°, I 25.9
- 37.68°, I 27.0
- 38.69°, I 31.6
- 39.91°, I 27.7
- 56.80°, I 20.1

Structure:
```
K2Tl3Hg6
1.0
6.063 -6.777 0.000
6.063 6.777 0.000
0.000 0.000 4.655
K Tl Hg
2 3 6
Direct
0.197 0.803 0.000 K
0.803 0.197 0.000 K
0.298 0.298 0.000 Tl
0.500 0.500 0.500 Tl
0.702 0.702 0.000 Tl
0.121 0.121 0.500 Hg
0.157 0.490 0.500 Hg
0.490 0.157 0.500 Hg
0.510 0.843 0.500 Hg
0.843 0.510 0.500 Hg
0.879 0.879 0.500 Hg
```

***

For K4W3, the PBE geometry in Alexandria gives the computed powder diffractogram in this record (Cu Ka).
Neutral-atom scattering factors, no anomalous dispersion.

Top 12 peaks for 10 to 80 degrees two-theta, in order of rising 2θ:
- 14.06°, I 100.0
- 21.15°, I 29.9
- 24.47°, I 47.5
- 28.33°, I 27.7
- 29.22°, I 14.0
- 35.62°, I 22.1
- 40.49°, I 24.8
- 41.15°, I 65.6
- 43.07°, I 31.6
- 46.12°, I 27.9
- 50.15°, I 23.1
- 55.02°, I 30.4

Structure:
```
K4W3
1.0
5.145 0.000 0.000
-2.572 4.456 0.000
0.000 0.000 12.600
K W
4 3
Direct
0.000 0.000 0.206 K
0.000 0.000 0.794 K
0.333 0.667 0.500 K
0.667 0.333 0.500 K
0.000 0.500 0.000 W
0.500 0.000 0.000 W
0.500 0.500 0.000 W
```

***
=====
**Back to the article:**
This new structure will differ from traditional fixed-price bids and better incentivize New York renewable energy developers in a number of important ways. In the case of the traditional fixed-price REC, provided exclusively until now, a fixed as-bid REC price would be provided throughout the lifetime of the project contract. Instead, with this new indexed approach to pricing structure, market risk is reduced for renewable developers. This, in turn, will lead to a reduction in bid prices and, over time, a reduction in contractual costs which benefits the end consumer. Indexed bidding ensures that ratepayers benefit from the reduced financial costs of renewable energy projects, as well as fewer changes to their energy bills.
NYSERDA has encouraged renewable energy developers to review the order and consider these new options ahead of their 2020 Tier 1 solicitation process. You can review the order by clicking here, read the full press release here, or visit the NYSERDA website here to learn more and keep up to date on the latest New York clean energy news.
To learn more about New York renewables, or to pursue your own renewable energy project, contact YSG Solar today. You can send an email to info@ysgsolar.com or call us at 212.389.9215.
By Shane Croghan